Marriage is something to definitely celebrate. Here are some marriage poems for weddings or for an anniversary.
Share with your spouse and other married couples to remind them of the beauty of marriage.
Allow these poems to be a useful addition to any card, gift, toast or vow.
M is for
moving forward together A is for
appreciation for each other R is for
respect is a must R is for
resilence during the challenging times I is for
I love you always A is for
always communicating G is for
goals reached together E is for
encouraging and supporting each other
Eskimo Love Song
Poet: Unknown
You are my husband, you are my wife
My feet shall run because of you
My feet dance because of you
My heart shall beat because of you
My eyes see because of you
My mind thinks because of you
And I shall love, because of you.
A love so strong as yours,
Should never go away.
You bind yourselves together in marriage,
And promise to never stray away.
Today a commitment will be made,
One so precious and inspired by love.
Well-wishes and tears of joy will be shed,
And many blessings from the man up above.
God's Plan
Poet: C. A. Lynch
Two souls joined together as one,
God's plan gives us sacred bonds in life.
Two hearts aligned in love, divine
A loving husband and wife.
Sharing their hopes and joys in life.
It truly is a beautiful plan.
Mutual Pleasures In Marriage
Poet: W. Howitt
Away with the pleasure that is not partaken!
There is no enjoyment by one only taken:
I love in my mirth to see gladness awaken
On lips, and in eyes, that reflect it again.
When we sit by the fire that so cheerily blazes
On our cosy hearth-stone, with its innocent glee,
Oh! how my soul warms, while my eye fondly gazes.
To see my delight is partaken by thee!
And when, as how often, I eagerly listen
To stvries thou read'st of the dear olden day.
How delightful to see our eyes mutually glisten,
And feel that affection has sweeten'd the lay.
Yes, love - and when wandering at even or morning,
Through forest or wild, or by waves foaming white,
I have fancied new beauties the landscape adorning.
Because I have seen thou wast glad in the sight.
And how often in crowds, where a whisper offendeth.
And we fain would express what there might not be said,
How dear is the glance that none else comprehendeth.
And how sweet is the thought that is secretly read!
Then away with the pleasure that is not partaken!
Two hearts so intertwined,
Each striving for the same;
For promising a life of joy,
And never play the blame game.
The undivided vision that reaches
Beyond mountains high;
Unflinching courage to see it through
With determination not shy.
Futures for their children;
Giving back to those in need;
Giving thanks for all their blessings
Through sacrifice and the dream of deeds.
A union forged by fate;
Meant to bring a peace inside;
Where each together will face life’s obstacles
With in one stride.
A marriage is more than
Just love and desire;
It’s shared goals and dreams,
Which will light its perpetual fire.
Marriage Bells
Poet: Emma Lazarus
Music and silver chimes and sunlit air,
Freighted with the scent of honeyed orange-flower;
_Misplaced data records_
____________
<A>
8
Lattice="-5.345 4.616 4.999 -2.119 -8.066 -2.307 3.253 -2.513 5.799" Properties=species:S:1:pos:R:3 comment="BaSr3 (PBE, optimized geometry)" volume_a3_per_atom=57.612 pbc="T T T"
Ba -3.456 -0.240 4.014
Sr -2.369 0.622 8.133
Sr -1.842 -6.585 0.358
Sr -3.430 -3.420 6.978
Ba -0.754 -5.723 4.478
Sr -0.781 -2.543 1.514
Sr -4.521 -4.272 2.863
Sr 0.310 -1.691 5.629

---

<B>
4
Lattice="-3.074 3.074 6.085 3.074 -3.074 6.085 3.074 3.074 -6.085" Properties=species:S:1:pos:R:3 comment="BaSr3 (PBE, optimized geometry)" volume_a3_per_atom=57.488 pbc="T T T"
Ba 0.000 0.000 0.000
Sr 3.074 0.000 3.042
Sr 0.000 0.000 6.085
Sr 0.000 3.074 3.042

---

Which structure is the least stable? The one labeled <A>.

---

<A>
4
Lattice="0.122 -6.773 2.661 -6.186 -1.499 3.530 1.369 2.726 -6.608" Properties=species:S:1:pos:R:3 comment="Ba3Tm (PBE, optimized geometry)" volume_a3_per_atom=51.193 pbc="T T T"
Tm 0.000 0.000 0.000
Ba -0.771 -4.092 -0.426
Ba -3.925 -1.454 0.009
Ba -3.032 -4.136 3.095

---

<B>
8
Lattice="4.171 -7.224 0.000 4.171 7.224 0.000 0.000 0.000 6.729" Properties=species:S:1:pos:R:3 comment="Ba3Tm (PBE, optimized geometry)" volume_a3_per_atom=50.682 pbc="T T T"
Ba 2.145 -1.239 5.047
Ba 4.171 4.747 1.682
Ba 2.145 1.239 1.682
Tm 4.171 -2.408 1.682
Ba 6.196 -1.239 5.047
Ba 6.196 1.239 1.682
Ba 4.171 -4.747 5.047
Tm 4.171 2.408 5.047

---

Which structure is the least stable? The one labeled <A>.

* * * * *

Density functional theory data (GGA+U) for a relaxed Na3FeO4 crystal.

Output
As for the symmetry: No. 62. The calculation puts the calculated density at 2.92 g cm⁻³. For the energy relative to the elements, the calculation gives -1.486 eV per atom.

Unit cell a=7.0279 b=7.4457 c=8.2115 alpha=90.00 beta=90.00 gamma=90.00
Fractional coordinates of all 32 atoms:
Na 0.0434 0.2701 0.0369
Na 0.0434 0.2701 0.4631
Na 0.1718 0.0486 0.7500
Na 0.3282 0.5486 0.2500
Na 0.4566 0.7701 0.5369
Na 0.4566 0.7701 0.9631
Na 0.5434 0.2299 0.0369
Na 0.5434 0.2299 0.4631
Na 0.6718 0.4514 0.7500
Na 0.8282 0.9514 0.2500
Na 0.9566 0.7299 0.5369
Na 0.9566 0.7299 0.9631
Fe 0.2167 0.5032 0.7500
Fe 0.2833 0.0032 0.2500
Fe 0.7167 0.9968 0.7500
Fe 0.7833 0.4968 0.2500
O 0.0001 0.3878 0.7500
O 0.1796 0.9548 0.0619
O 0.1796 0.9548 0.4381
O 0.1986 0.7391 0.7500
O 0.3014 0.2391 0.2500
O 0.3204 0.4548 0.5619
O 0.3204 0.4548 0.9381
O 0.4999 0.8878 0.2500
O 0.5001 0.1122 0.7500
O 0.6796 0.5452 0.0619
O 0.6796 0.5452 0.4381
O 0.6986 0.7609 0.7500
O 0.8014 0.2609 0.2500
O 0.8204 0.0452 0.5619
O 0.8204 0.0452 0.9381
O 0.9999 0.6122 0.2500


Density functional theory data (GGA+U) for a relaxed Na14Fe2O9 crystal.

Output
The calculation puts the calculated density at 2.62 g cm⁻³. For the energy relative to the elements, the calculation gives -1.473 eV per atom.

Unit cell a=6.7218 b=9.4256 c=11.5724 alpha=89.34 beta=89.62 gamma=90.25
Fractional coordinates of all 50 atoms:
Na 0.4995 0.2520 0.4998
Na 0.9996 0.2520 0.9999
Na 0.5002 0.7481 0.4998
Na 0.0002 0.7481 0.9999
Na 0.6601 0.9083 0.0202
____________
Glad, friendly festal faces everywhere.
She, rapt from all in this unearthly hour,
With cloudlike, cast-back veil and faint-flushed cheek,
In bridal beauty moves as in a trance
Alone with him, an fears to breathe, to speak,
Lest the rare, subtle spell dissolve perchance.
But he upon that floral head looks down,
Noting the misty eyes, the grave sweet brow--
Doubts if her bliss be perfect as his own,
And dedicates anew with inward vow
His soul unto her service, to repay
Richly the sacrifice she yields this day.
Peace In Humble Marriage
Poet: Beattie
No jealousy the dawn of love o'ercast,
Nor blasted were their wedded days with strife;
Each season look'd delightful as it past.
To the fond husband, and the faithful wife.
Beyond the lowly vale of shepherd life
They never roam'd; secure beneath the storm
Which in ambition's lofty land is rife,
Where peace and love are canker'd by the worm
Of pride, each bud of joy industrious to deform.
The Dictate Of Nature
by Dr. Johnson
Marriage is evidently the dictate of nature;
men and women are made to be the companions of each other,
and therefore I cannot be persuaded but that marriage is one of the means of happiness.
It is a state not suited to the conditions of some few individuals only,
but appropriated to all persons under all circumstances -
extended to the concave arch of heaven, and of incalculable duration.
It will brighten affliction's gloomy countenance,
and make sorrow wear a cheerful garment.
It will deck the humble and contented cot with almost heavenly bliss,
and waft its fragrance even to the most remote recesses of poignant misery.
From This Day Forward
Poet: Author Unknown
From this day forward,
You shall not walk alone.
My heart will be your shelter,
And my arms will be your home.
To Be One With Each Other
Poet: George Eliot
What greater thing is there for two human souls
than to feel that they are joined together
to strengthen each other in all labour,
to minister to each other in all sorrow,
to share with each other in all gladness,
to be one with each other in the silent unspoken memories?
On Marriage
by Kahlil Gibran
Then Almitra spoke again and said, "And what of Marriage, master?"
And he answered saying:
"You were born together, and together you shall be forevermore.
You shall be together when white wings of death scatter your days.
Aye, you shall be together even in the silent memory of God.
But let there be spaces in your togetherness,
And let winds of the heavens dance between you.
Love one another but make not a bond of love:
Let it rather be a moving sea between the shores of your souls.
Fill each other's cup but drink not from one cup.
┌──
First-principles (GGA+U) data for an optimized crystal structure of ZrCrO4, as listed in the Materials Project.

```
data_ZrCrO4
_symmetry_space_group_name_H-M 'P 1'
_symmetry_Int_Tables_number 1
_cell_length_a 4.790
_cell_length_b 4.935
_cell_length_c 11.770
_cell_angle_alpha 90.53
_cell_angle_beta 90.63
_cell_angle_gamma 90.04
loop_
_symmetry_equiv_pos_as_xyz
'x,y,z'
loop_
_atom_site_label
_atom_site_fract_x
_atom_site_fract_y
_atom_site_fract_z
Zr1 0.000 0.000 0.000
Zr2 0.009 0.521 0.331
Zr3 0.482 0.025 0.500
Zr4 0.497 0.537 0.831
Cr1 0.495 0.503 0.096
Cr2 0.508 0.018 0.236
Cr3 0.988 0.527 0.596
Cr4 0.990 0.032 0.736
O1 0.215 0.352 0.477
O2 0.219 0.859 0.855
O3 0.222 0.831 0.616
O4 0.223 0.332 0.717
O5 0.269 0.321 0.217
O6 0.279 0.849 0.354
O7 0.280 0.832 0.113
O8 0.283 0.356 0.980
O9 0.715 0.172 0.351
O10 0.721 0.676 0.978
O11 0.721 0.692 0.219
O12 0.732 0.202 0.114
O13 0.771 0.202 0.612
O14 0.772 0.704 0.719
O15 0.778 0.675 0.481
O16 0.780 0.179 0.850
```

Summary:
* E_form: -2869 meV/atom
* density: 4.948 g cm⁻³
* spin magnetization: 3.99 Bohr magnetons per cell
* uncorrected energy: -8.41 eV per atom
* SG: P1 (1)

First-principles (GGA+U) data for an optimized crystal structure of ZrCrO3, as listed in the Materials Project.

```
data_ZrCrO3
_symmetry_space_group_name_H-M 'P 1'
_symmetry_Int_Tables_number 1
_cell_length_a 5.382
_cell_length_b 9.350
_cell_length_c 4.953
_cell_angle_alpha 90.00
_cell_angle_beta 90.00
_cell_angle_gamma 90.00
loop_
_symmetry_equiv_pos_as_xyz
'x,y,z'
loop_
_atom_site_label
_atom_site_fract_x
_atom_site_fract_y
_atom_site_fract_z
Zr1 0.047 0.250 0.047
Zr2 0.453 0.750 0.547
Zr3 0.547 0.250 0.453
Zr4 0.953 0.750 0.953
Cr1 0.000 0.000 0.500
Cr2 0.000 0.500 0.500
Cr3 0.500 0.000 0.000
Cr4 0.500 0.500 0.000
O1 0.124 0.750 0.315
O2 0.218 0.601 0.789
O3 0.218 0.899 0.789
O4 0.282 0.101 0.289
O5 0.282 0.399 0.289
O6 0.376 0.250 0.815
O7 0.624 0.750 0.185
O8 0.718 0.601 0.711
O9 0.718 0.899 0.711
O10 0.782 0.101 0.211
O11 0.782 0.399 0.211
O12 0.876 0.250 0.685
```

Summary:
* E_form: -2991 meV/atom
* density: 5.095 g cm⁻³
* spin magnetization: 0.00 Bohr magnetons per cell
* uncorrected energy: -8.79 eV per atom
* SG: Pnma (62)

First-principles (GGA+U) data for an optimized crystal structure of ZrCrO4, as listed in the Materials Project.

```
data_ZrCrO4
_symmetry_space_group_name_H-M 'P 1'
_symmetry_Int_Tables_number 1
_cell_length_a 4.760
_cell_length_b 11.854
_cell_length_c 4.939
_cell_angle_alpha 90.00
_cell_angle_beta 90.00
_cell_angle_gamma 90.00
loop_
_symmetry_equiv_pos_as_xyz
'x,y,z'
loop_
_atom_site_label
_atom_site_fract_x
_atom_site_fract_y
_atom_site_fract_z
Zr1 0.000 0.171 0.250
Zr2 0.000 0.829 0.750
Zr3 0.500 0.329 0.750
Zr4 0.500 0.671 0.250
Cr1 0.000 0.434 0.250
Cr2 0.000 0.566 0.750
Cr3 0.500 0.066 0.750
Cr4 0.500 0.934 0.250
O1 0.221 0.316 0.090
O2 0.221 0.684 0.590
O3 0.224 0.445 0.568
O4 0.224 0.555 0.068
O5 0.276 0.055 0.068
O6 0.276 0.945 0.568
O7 0.279 0.184 0.590
O8 0.279 0.816 0.090
└──
Give one another of your bread but eat not from the same loaf.
Sing and dance together and be joyous, but let each one of you be alone,
Even as the strings of a lute are alone though they quiver with the same music.
Give your hearts, but not into each other's keeping.
For only the hand of Life can contain your hearts.
And stand together, yet not too near together:
For the pillars of the temple stand apart,
And the oak tree and the cypress grow not in each other's shadow."
God above increase our love.
Let love and friendship reign.
I long to be made one with thee.
Time shall tell I love thee well.
God’s blessing on thee and me.
Love for love.
In Married Life We All Offend At Times
Poet: Unknown
Oh, we do all offend:
There's not a day of wedded life — if we
Count at its close the little, bitter sum
Of thoughts, and words, and looks unkind and froward,
Silence that chides and woundings of the eye —
But prostrate at each other's feet we should
Each night forgiveness ask.
Marriage A Second Eden
Poet: Cowper
What is there in the vale of life
Half so delightful as a wife.
When friendship, love, and peace, combine
To stamp the marriage-bona divine?
The stream of pure and genuine love
Derives its current from above;
And earth a second Eden shows,
Where'er the healing water flows.
In our marriage, I am truly blessed,
For the little things you do best.
Each small gesture, each act of kindness,
It strengthens our bond and brings gladness.
You make everyday life so sweet,
With your love and care, each moment complete.
I am grateful for you in every way,
And appreciate all you do each day.
A Marriage Prayer
Poet: Kenny Meadows
O Thou, whose merciful decree
Hath knit our hearts in bonds of love.
Our sure defence and safeguard be,
Whatever our wedded lot may prove.
Without Thy blessing love is vain
The varied ills of life to bear;
But when bestow'd, few griefs remain
Beyond affection's healing care.
Avert from us the spirit's chill.
Each wandering thought and fickle mood;
Mould every feeling to Thy will,
Incline our hearts to every good.
Implanting deep that perfect trust.
Of love's rich soil the flower most dear;
Turn all our promised joys to dust,
But leave that root unwither'd here.
Blend with our love that gentleness
Which turns each angry word aside,
Which stifles wrath with tenderness,
And melts away the frost of pride.
Nor let unkindness ever reach,
Nor harsh, unfeeling thoughts impair
The tenderness of years; but teach
Our hearts to bear and to forbear.
Be ours a unity of mind,
A unity of sweetest love,
A unity of faith entwined
With the dear hope of joys above.
We know that in our hearts there lies,
With all their love, the germ of change;
The world can break the holiest ties,
A breath the tenderest thoughts estrange.
We pray, O God! that grief like this
Our earthly course may never see;
We'd make our love a lasting bliss,
By resting all its hopes on Thee!
Marriage is
Calculated crystals from another source follow =
- - -
Below is crystalline KNb3Se2O12 at its relaxed geometry, with properties calculated at the PBE-GGA level.

total DFT energy (no corrections)	-7.389	eV per atom
ΔH_f (0 K)	-2.415	eV per atom

a b c (Å): 4.073 15.182 17.550
angles (deg): 90.00 90.00 90.00
Space group Pbcm (No. 57)
One atom of each set of equivalent atoms:
K 0.201 0.067 0.250 [4 per cell]
Nb 0.258 0.648 0.067 [8 per cell]
Nb 0.263 0.711 0.750 [4 per cell]
Se 0.412 0.081 0.601 [8 per cell]
O 0.186 0.203 0.750 [4 per cell]
O 0.188 0.142 0.067 [8 per cell]
O 0.303 0.568 0.529 [8 per cell]
O 0.309 0.604 0.673 [8 per cell]
O 0.313 0.704 0.168 [8 per cell]
O 0.314 0.750 0.000 [4 per cell]
O 0.327 0.527 0.128 [8 per cell]

***

Below is crystalline K3Nb3Si2O13 at its relaxed geometry, with properties calculated at the PBE-GGA level.

total DFT energy (no corrections)	-7.747	eV per atom
polymorph energy (0 for the lowest one)	0.0	meV per atom
ΔH_f (0 K)	-2.991	eV per atom

a b c (Å): 9.2466 9.2466 7.9665
angles (deg): 90.00 90.00 120.00
Space group P-62c (No. 190)
One atom of each set of equivalent atoms:
K 0.0323 0.4161 0.2500 [6 per cell]
Nb 0.0000 0.7618 0.0000 [6 per cell]
Si 0.3333 0.6667 0.5447 [4 per cell]
O 0.0000 0.1752 0.0000 [6 per cell]
O 0.0112 0.7543 0.7500 [6 per cell]
O 0.1809 0.6926 0.0197 [12 per cell]
O 0.3333 0.6667 0.7500 [2 per cell]

***

Below is crystalline K3Nb3Si2O13 at its relaxed geometry, with properties calculated at the PBE-GGA level.

total DFT energy (no corrections)	-7.740	eV per atom
polymorph energy (0 for the lowest one)	6.8	meV per atom
ΔH_f (0 K)	-2.984	eV per atom

a b c (Å): 9.2578 9.2578 7.9268
angles (deg): 90.00 90.00 120.00
Space group P-62m (No. 189)
One atom of each set of equivalent atoms:
K 0.0000 0.5959 0.0000 [3 per cell]
K 0.0000 0.6107 0.5000 [3 per cell]
Nb 0.0000 0.2379 0.2496 [6 per cell]
Si 0.3333 0.6667 0.2911 [4 per cell]
O 0.0000 0.2319 0.0000 [3 per cell]
O 0.0000 0.2701 0.5000 [3 per cell]
O 0.0000 0.8261 0.2654 [6 per cell]
O 0.1828 0.4866 0.2291 [12 per cell]
O 0.3333 0.6667 0.5000 [2 per cell]

***

Below is crystalline KNbSi2O7 at its relaxed geometry, with properties calculated at the PBE-GGA level.

total DFT energy (no corrections)	-7.831	eV per atom
ΔH_f (0 K)	-3.113	eV per atom

a b c (Å): 8.877 8.877 8.274
angles (deg): 90.00 90.00 90.00
Space group P4bm (No. 100)
One atom of each set of equivalent atoms:
K 0.178 0.322 0.000 [4 per cell]
Nb 0.000 0.000 0.226 [2 per cell]
Nb 0.000 0.000 0.729 [2 per cell]
Si 0.123 0.623 0.311 [4 per cell]
Si 0.124 0.624 0.701 [4 per cell]
O 0.000 0.000 0.007 [2 per cell]
O 0.000 0.000 0.511 [2 per cell]
O 0.000 0.500 0.240 [2 per cell]
O 0.000 0.500 0.772 [2 per cell]
O 0.076 0.787 0.241 [8 per cell]
O 0.077 0.788 0.771 [8 per cell]
O 0.120 0.620 0.506 [4 per cell]

~~~~~

Computed, not measured: a relaxed P4N3Cl11 crystal at the r2SCAN level of DFT.

a b c (Å): 7.885 7.885 7.885
angles (deg): 86.22 86.22 86.22
Fractional coordinates of all 18 atoms:
P  0.377  0.377  0.377
- - -
not all rose petals and candle light,
And our marriage is no different from that.
But we work at it each day
We fight to keep our marriage alive,
It's worth so much to us.
Nothing is too big to make a difference
And there is nothing too little to be a fuss.
Poet: Unknown
Marriage –
the happy estate which resembles a pair of shears;
so joined that they cannot be separated;
often moving in opposite directions,
yet always punishing anyone who comes between them.
More Than A Spouse
Poet: C. A. Lyncy
In this union, I discovered a treasure rare,
More than a spouse, a best friend is what I found there.
Through joys and tears, you've stood by my side,
In laughter and sorrow, together we abide.
Supporting each other, through every twist and bend,
Our bond of friendship will never find an end.
Thank you for being my partner in both love and strife,
For in you, I found not just a spouse, but my best friend for life.